The Page Turner’s Liebster Blog Award on May 1st!

I am honored to be nominated for this award.
I am extremely grateful to Diane at Book Meets Girl blog for nominating me for this award.

Thank you so much!

Leibster award 5-1-17

The rules of this award:

1. Acknowledge the blog who nominated you and display the award.

2. Answer the 11 questions the blogger gives you.

3. Give 11 random facts about yourself.

4. Nominate 11 blogs.

'''
[1]
The following is a DFT calculation (PBE-GGA) of a relaxed La2Ni4Sn3Au crystal.

```
data_La2Ni4Sn3Au
_chemical_formula_sum 'La2 Ni4 Sn3 Au1'
_symmetry_space_group_name_H-M 'P -4 m 2'
_symmetry_Int_Tables_number 115
_cell_length_a 4.490
_cell_length_b 4.490
_cell_length_c 10.104
_cell_angle_alpha 90.00
_cell_angle_beta 90.00
_cell_angle_gamma 90.00
loop_
_symmetry_equiv_pos_as_xyz
'x,y,z'
'y,-x,-z'
'-x,-y,z'
'-y,x,-z'
'-x,y,z'
'-y,-x,-z'
'x,-y,z'
'y,x,-z'
loop_
_atom_site_label
_atom_site_fract_x
_atom_site_fract_y
_atom_site_fract_z
La1 0.000 0.500 0.248
Ni1 0.000 0.000 0.000
Ni2 0.000 0.500 0.630
Ni3 0.500 0.500 0.000
Sn1 0.000 0.500 0.877
Sn2 0.500 0.500 0.500
Au1 0.000 0.000 0.500
```

* energy of formation from the pure elements: -0.5187 eV per atom
* D(E_F): 6.44 states/eV/cell
* total DFT energy (no corrections): -5.35 eV/atom

---

[2]
The following is a DFT calculation (PBE-GGA) of a relaxed Cd2AgSe crystal.

```
data_Cd2AgSe
_chemical_formula_sum 'Cd2 Ag1 Se1'
_symmetry_space_group_name_H-M 'P 1 m 1'
_symmetry_Int_Tables_number 6
_cell_length_a 2.993
_cell_length_b 4.289
_cell_length_c 6.884
_cell_angle_alpha 90.00
_cell_angle_beta 90.10
_cell_angle_gamma 90.00
loop_
_symmetry_equiv_pos_as_xyz
'x,y,z'
'x,-y,z'
loop_
_atom_site_label
_atom_site_fract_x
_atom_site_fract_y
_atom_site_fract_z
Cd1 0.000 0.000 0.000
Cd2 0.499 0.500 0.245
Ag1 0.500 0.500 0.797
Se1 0.500 0.000 0.531
```

* energy relative to the elements, uncorrected: -0.006 eV per atom
* D(E_F): 1.62 states/eV/cell
* total DFT energy (no corrections): -2.05 eV/atom

~~~~~

# ZnGaCuPd (PBE, optimized geometry)
# spin magnetization	0.000	μB/f.u.
# energy of formation	-0.199	eV per atom
# calculated density	8260	kg/m³
# total DFT energy (no corrections)	-28.77	eV per cell
data_ZnGaCuPd
_chemical_formula_sum 'Zn2 Ga2 Cu2 Pd2'
_cell_length_a 4.424
_cell_length_b 2.868
_cell_length_c 9.668
_cell_angle_alpha 90.00
_cell_angle_beta 90.00
_cell_angle_gamma 90.00
_space_group_name_H-M_alt 'A m m 2'
_space_group_IT_number 38
loop_
_space_group_symop_operation_xyz
'x,y,z'
'-x,-y,z'
'-x,y,z'
'x,-y,z'
'x,y+1/2,z+1/2'
'-x,-y+1/2,z+1/2'
'-x,y+1/2,z+1/2'
'x,-y+1/2,z+1/2'
loop_
_atom_site_label
_atom_site_type_symbol
_atom_site_fract_x
_atom_site_fract_y
_atom_site_fract_z
Zn1 Zn 0.000 0.000 0.000
Ga1 Ga 0.500 0.000 0.161
Cu1 Cu 0.000 0.000 0.275
Pd1 Pd 0.500 0.000 0.431

~~~~~

# V3P6WO24, relaxed, DFT PBE with a Hubbard U
# Final energy, eV per atom: -7.434
# Size of the total moment, μB per atom: 0.088
data_V3P6WO24
_cell_length_a 8.5913
_cell_length_b 8.5913
_cell_length_c 21.9331
_cell_angle_alpha 90.00
_cell_angle_beta 90.00
_cell_angle_gamma 120.00
_space_group_name_H-M_alt 'R 3'
_space_group_IT_number 146
_space_group_name_Hall 'R 3'
loop_
_atom_site_label
_atom_site_fract_x
_atom_site_fract_y
_atom_site_fract_z
V1 0.0000 0.0000 0.0000
V2 0.0000 0.0000 0.2157
V3 0.0000 0.0000 0.5014
P1 0.0022 0.2888 0.6055
P2 0.0048 0.7234 0.1085
W1 0.0000 0.0000 0.7161
O1 0.0167 0.8256 0.7661
'''

5. Notify those blogs of the nomination.

6. Give them 11 questions to answer.


11 Questions For Me from Diane:
1.  What is the first book you remember actually choosing and reading yourself?

My Life by Helen Keller

2. What is your favorite food?

Spring rolls

3. How do you feel about T.V.?

It sits in my room, but I can not remember the last time I turned it on.

4. Who is your favorite Disney Character?

Gosh, They have such wonderful ones. I think I especially loved Anna in Frozen the most.

5.  Minions, Marvel, D.C.?

Minions I suppose.

6. Where is your favorite place to read?

In Bed with my fleece blanket pulled up to my chin and my dog by my side.

7. What is your favorite book(s)!

So many to choose from. Knight in Shining Armor by Jude Deveraux, TheBee Keepers Daughter by Jane Jordon, Jessica Lost her Wobble by J. Schlenker, Mona Lisa’s  Secret by Phil Philips, and Anything by Charles Dickens especially Great Expectations.

8. What is your favorite time of the year?

I love the weather in spring, the holidays in Fall and Winter, and the heat of Summer. Spring wins.

9. How do you feel about the current adult coloring book hobby?

It can be relaxing.

10.   Where would your dream
house be located?

On a cruise ship.

11.  Cooked fish or Sushi?

I have not decided if I am going to eat fish or not.  If I did, it would be cooked. So far I have had no fish.

11 Facts about me:

  1. I have recently become a  vegetarian.
  2. I love Indie Music especially Run River North.
  3. I love to talk about everything.
  4. I love dogs and cats equally.
  5. I like to sing and dance to make the grandchildren laugh.
  6. I am a terrible singer and dancer.
  7. I go to bed when I can no longer see the letters in the book or on the computer.
  8. I love visiting my family and seeing new places with them.
  9. My brother and sister and I are all 14 months apart.
  10. Letting people down is one of my biggers fears.
  11. If I could I would live in a huge house with all my children and grandchildren.

The 12 super spectacular Nominees:

  1. J. Schlenker@
  2. PBS @
  3. D. E. Haggerty @
  4. I Read What You Write
  5. Robbie @
  6. Joshua David Blog @
  7. Debbie @ Debs
  8. Deet’s Reviews @
  9. Jazz You Too @
  10. Christopher Fischer @
  11. Ann WJ White @
  12. Jen Med @

11 Questions for the Nominees:

  1. When did you find yourself interested in blogging?
  2. Do you schedule your posts or write and post?
  3. Where do you see yourself living after retirement?
  4. What’s the most fun book or movie you have enjoyed?
  5. What is your hobby?
  6. Is collecting an adventure or just clutter?
  7. How do you feel about cliffhangers?
  8. Have you ever remodeled a home?
  9. What animals would you love to have if you had space?
  10. What is one item on your bucket list?
  11. Do you have an embarrassing moment you can share?

I seriously had fun picking out my nominees, answering the questions, and forming questions I hope you will enjoy.

Thank you again, Diane, for the nomination!


A Lovely Award Nomination!


Blogger recognition award


Thank you, Robbie Cheadle from Robbie’s Inspiration for nominating me for this award. Robbie was sweet enough to nominate me for this as I was recuperating from Mystery Thriller Week.  I really appreciate you thinking of me.
Continue reading “A Lovely Award Nomination!”

500 Followers! Wow! I am so Honored!

I was about to log out for the night, and what happened when I checked my blog? I had 500 followers to start my day off right!  Thank you all and thanks to Kazelee28 for tipping me over to 501!


I can not tell you how thankful I am that you wanted to follow my blog. I am touched with the kindness and friendship that has been extended by everyone I have met here. WordPress is truly a wonderful place, filled with the cream of the crop when it comes to bloggers and visitors.

Thank you all again! I hope we keep visiting each other’s blogs and finding out more and more things we have in common.  I love you all! That is truly from my heart.
